Past Masters of the Lodge

The office of Worshipful Master is the highest honor to which a Lodge may elect any of its members.  The Worshipful Master chairs the business of the Lodge, presides over all of its members, Lodge activities and events, and governs our Ritual and ceremonies.  The Master is elected annually by the members of the Lodge in a secret ballot, typically after serving in many, if not all, of the Officer chairs of the Lodge.  The honorific “Worshipful” does not suggest that the Master is worshiped, but is used in its original old English meaning, "worthy of respect".  After closing a regular meeting as the elected Worshipful Maser, in a Lodge to which he was elected, he is technically a “Past Master”. Most, however, reserve this title for conclusion of the Worshipful Master's term and he will have attained a title and position forever worthy of great respect and honor within the Fraternity.

 In honor and remembrance of the Past Masters of Palestine Lodge #241 / St. Charles Lodge #241 who have so faithfully guided and protected this Lodge of Brothers since 1865, we are proud to post their names and dates of service.



Deceased *

Demitted/Inactive **

 Joseph Alexander - 1865 *

Joseph Alexander - 1866 *

Joseph Alexander - 1867 *

Joseph Alexander - 1868 *

Joseph Alexander - 1869 *

W.W. Edward - 1870 *

Joseph Alexander - 1871 *

Joseph Alexander - 1872 *

John A Kellar - 1873 *

Joseph Alexander - 1874 *

W. Page Conant - 1875 *

Geo. B. Johnson - 1876 *

Geo. B. Johnson - 1877 *

James B. Pritchett - 1878 *

Joseph Alexander - 1879 *

Joseph Alexander - 1880 *

Joseph Alexander - 1881 *

Joseph Alexander - 1882 *

Joseph Alexander - 1883 *

Joseph Alexander - 1884 *

R. A. Hickmann - 1885 *

Al Huber - 1886 *

Joseph Alexander - 1887 *

J. P. Miller - 1888 *

J. P. Miller - 1889 *

N.E. Jenkines - 1890 *

J. P. Miller - 1891 *

Joseph Alexander - 1892 *

Joseph Alexander - 1893 *

Louis Kohn  - 1894 *

Sam Johnson  - 1895 *

A. E. Hucker - 1896 *

Frank J. Bull - 1897 *

C. O. Ullin - 1898 *

John B. Matin - 1899 *

Robert  Schmoldt  - 1900 *

Robert  Schmoldt  - 1901 *

Sam R. McMillian - 1902 *

Hy J. Beimdick - 1903 *

Gust J. Elwanger - 1904 *

Gust J. Elwanger - 1905 *

Amos H. Vinyad - 1906 *

R. C. Haenssler - 1907 *

R. C. Haenssler - 1908 *

John N. Olson - 1909 *

Charles N. Shapiro - 1910 *

Charles N. Shapiro - 1911 *

Miller White  - 1912 *

August Westerfield  - 1913 *

Edward H. Biemdick - 1914 *

Osmund Haenssler  - 1915 *

Edwin H. Barklage - 1916 *

Charles E. Bortfeld - 1917 *

A. E. Hucker - 1918 *

Isadore Stahlbehl  - 1919 *

Claude J. Jacobs - 1920 *

Clarence R Decker  - 1921 *

Edgar E. Brown - 1922 *

Edgar E. Brown - 1923 *

Harry B. Kienker - 1924 *

Fred W. Hobelman - 1925 *

Herman Wiethoelter  - 1926 *

Robert S. Calder - 1927 *

Edward A. Ringe - 1928 *

William A. Dixon - 1929 *

Edward J. Pundmann - 1930 *

Paul J. Reinert - 1931 *

E. R. Engholm - 1932 *

William F. Achelpohl - 1933 *

Webster Karrenbrock - 1934 *

Eugene W. Lowe - 1935 *

George Schuster - 1936 *

J. Harry Jordan - 1937 *

Martin L. Comann - 1938 *

Otto Boeklemeier - 1939 *

D. T. Gray - 1940 *

Alf H. Schroer - 1941 *

Gus H. Huster - 1942 *

L. E. Dudeck - 1943 *

Arthur C. Opitz - 1944 *

Ernest W. Hedges - 1945 *

Charles W. Hafer Jr.  - 1946 *

Melvin F. Lane - 1947 *

Eugene F. Schaberg - 1948 *

Clyde E. Smat - 1949 *

Waldo A. Krede - 1950 *

Rueben R. Krede - 1951 *

Leslie E. Koeneker - 1952 *

Raymond D. Prinster - 1953 *

Carroll S. Howell - 1954 *

John S. Paker - 1955 *

Gover W. Lewis - 1956 *

Melboune A. Morgan - 1957 *

Louis J. Wallenbrock - 1958 *

Gover L. Studer - 1959 *

Gene O. Drury - 1960 *

Harold W. Tilly - 1961 *

Marvin H. Bruns - 1962 *

Delton C. Hilderbrand - 1963 *

Clarence W. Rosner - 1964 *

== Someone pasted materials data at this point ==
+++
1.
A PBEsol-optimized structure of KHoBeF6, computed with SCAN.

## Properties
**Formation energy (no corrections)**: -3.865 eV/atom
**Space-group type**: P2_1/m

abc: 6.2828 5.7687 6.9480
angles: 90.00 112.90 90.00
With the nearest neighbours (Å) after each atom.
Sites, in units of the cell vectors:
1 K 0.0692 0.2500 0.2035  10 F 2.71-3.02
2 K 0.9308 0.7500 0.7965  10 F 2.71-3.02
3 Ho 0.3881 0.2500 0.8236  8 F 2.22-2.33
4 Ho 0.6119 0.7500 0.1764  8 F 2.22-2.33
5 Be 0.2319 0.7500 0.4627  4 F 1.54-1.56
6 Be 0.7681 0.2500 0.5373  4 F 1.54-1.56
7 F 0.0092 0.7500 0.2577  1 Be 1.56
8 F 0.2307 0.5332 0.5959  1 Be 1.56
9 F 0.2307 0.9668 0.5959  1 Be 1.56
10 F 0.3198 0.5024 0.0370  2 Ho 2.23-2.24
11 F 0.3198 0.9976 0.0370  2 Ho 2.23-2.24
12 F 0.4488 0.7500 0.4119  1 Be 1.54
13 F 0.5512 0.2500 0.5881  1 Be 1.54
14 F 0.6802 0.0024 0.9630  2 Ho 2.23-2.24
15 F 0.6802 0.4976 0.9630  2 Ho 2.23-2.24
16 F 0.7693 0.0332 0.4041  1 Be 1.56
17 F 0.7693 0.4668 0.4041  1 Be 1.56
18 F 0.9908 0.2500 0.7423  1 Be 1.56



2.
A PBEsol-optimized structure of Ta2CrSi6, computed with SCAN.

## Properties
**Formation energy (no corrections)**: -0.317 eV/atom
**Space-group type**: C222

abc: 4.6909 4.6909 6.4533
angles: 90.00 90.00 121.05
With the nearest neighbours (Å) after each atom.
Sites, in units of the cell vectors:
1 Ta 0.0000 0.5000 0.1641  10 Si 2.56-2.72
2 Ta 0.5000 0.0000 0.8359  10 Si 2.56-2.72
3 Cr 0.0000 0.0000 0.5000  10 Si 2.48-2.78
4 Si 0.1767 0.3306 0.8250  4 Si 2.48-2.66, 1 Cr 2.48, 4 Ta 2.60-2.72
5 Si 0.3306 0.1767 0.1750  4 Si 2.48-2.66, 1 Cr 2.48, 4 Ta 2.60-2.72
6 Si 0.3401 0.6599 0.5000  5 Si 2.48-2.74, 2 Ta 2.56, 3 Cr 2.65-2.78
7 Si 0.6599 0.3401 0.5000  5 Si 2.48-2.74, 2 Ta 2.56, 3 Cr 2.65-2.78
8 Si 0.6694 0.8233 0.1750  4 Si 2.48-2.66, 1 Cr 2.48, 4 Ta 2.60-2.72
9 Si 0.8233 0.6694 0.8250  4 Si 2.48-2.66, 1 Cr 2.48, 4 Ta 2.60-2.72



3.
+++

Carl C. Hibbs - 1965 *

Howard G. Magrunder - 1966 *

Dwaine A. Davis - 1967 *

_These data records were left in the piece by mistake_
<<<
Crystalline ScAl3Co4 at its relaxed geometry. Source: Alexandria via LeMat-Bulk, functional PBE.

Results
E_tot = -50.3 eV per cell

Unit cell a=4.1105 b=4.1105 c=5.9023 alpha=90.00 beta=90.00 gamma=90.00
With the nearest neighbours (Å) after each atom.
Element x y z (fractional)
Sc  0.0000  0.0000  0.0000  8 Co 2.58
Al  0.0000  0.0000  0.5000  8 Co 2.48
Al  0.5000  0.5000  0.0000  8 Co 2.58
Al  0.5000  0.5000  0.5000  8 Co 2.48
Co  0.0000  0.5000  0.2634  6 Al 2.48-2.58, 2 Sc 2.58
Co  0.0000  0.5000  0.7366  6 Al 2.48-2.58, 2 Sc 2.58
Co  0.5000  0.0000  0.2634  6 Al 2.48-2.58, 2 Sc 2.58
Co  0.5000  0.0000  0.7366  6 Al 2.48-2.58, 2 Sc 2.58

=====

Crystalline Mn2AlP at its relaxed geometry. Source: Alexandria via LeMat-Bulk, functional PBE.

Results
E_tot = -28.7 eV per cell

Unit cell a=2.8241 b=2.8241 c=5.7881 alpha=90.00 beta=90.00 gamma=90.00
With the nearest neighbours (Å) after each atom.
Element x y z (fractional)
Mn  0.0000  0.0000  0.2165  4 P 2.36, 1 Mn 2.51, 4 Al 2.58
Mn  0.0000  0.0000  0.7835  4 P 2.36, 1 Mn 2.51, 4 Al 2.58
Al  0.5000  0.5000  0.5000  8 Mn 2.58, 4 Al 2.82, 2 P 2.89
P  0.5000  0.5000  0.0000  8 Mn 2.36

=====

Number 1: total moment 0.00 μB per atom. Number 2: total moment 0.42 μB per atom.
>>>
_The piece goes on_

Harold L. Thomas - 1968 **

Carroll W. Holmes - 1969 *

Philip W. Elmer - 1970 

Roy H. Bailey - 1971 

William H. Sattler - 1972 *

Chelsea L. Stewart - 1973 

Ernest E. Butts - 1974 

Earl W. Wooldridge - 1975 *

John W. Stoneking - 1976 **

Robert G. Pikey - 1977 *

Dennis R. Martin - 1978 

Clarence R. Czeschin - 1979 **

John D. Runyon - 1980 *

Fred H. Courtney  - 1981 *

Walter S. Specie - 1982 *

Theodore G. Kolb - 1983 **

Rector R. Cook - 1984 

James D. Bell - 1985 *

Russell  D Leedom  - 1986 *

Thomas D. Martin - 1987 *

Gary W. Warth - 1988 

Earl E. Sage - 1989 

Clyde E. Warth - 1990 *

Harland Long  - 1991 *

Harlold Cochran  - 1992 

Harlold Cochran  - 1993 

James C. Larkin - 1994 *

David W. Larkin - 1995 

Philip O. Key - 1996 *

William G. Langendoerfer  - 1997 * 

Robert G. Hutchinson - 1998 **

Robert G. Hutchinson - 1999 **

Robert Karl  - 2000 *

On September 1st 2001,

Palestine Lodge #241 was renamed

to St. Charles Lodge #241

and received a new charter by

the Grand Lodge of Missouri

with George W. Anagnos presiding

as Worshipful Master.

George W. Anagnos - 2001 **

Theodore G. Kolb - 2002 **

James D. Bell - 2003 *

Melvin G. Myrick, Sr.  - 2004 *

John J. Lukes - 2005 

Sir Thomas McCann - 2006 *

Ricky L. Uebinger - 2007 **

John J. Lukes - 2008 

Thomas W. Russell - 2009** 

Russel A. Georgen - 2010 

Steven S. Kleinman - 2011 

Tracy R. Smith - 2012**

Ryan C. Georgen - 2013* 

Jason Johnston  - 2014 ** 

Joseph E. Kimble - 2015 

Darren A. Beck - 2016 

Lonnie E. Willis, Sr. - 2017

Larry D. Darnell - 2018

Kenneth G. Wright - 2019

Matthew R. Carter - 2020

Matthew J.J. Beyes - 2021

Matthew D.P. Beyes - 2022

Matthew R. Carter - 2023

Samuel R. W. Beyes - 2024